# Contents
┌──
Computed, not measured: a relaxed Ac6Rh2NCl3 crystal at the GGA-PBE level of DFT. Values from VASP.

Properties
crystal system = monoclinic
uncorrected formation energy = -1.244 eV per atom

The structure in Quantum ESPRESSO input format:
```
&SYSTEM
  ibrav = 0, nat = 12, ntyp = 4
/
ATOMIC_SPECIES
Ac 227.00 Ac.upf
Rh 102.91 Rh.upf
N 14.01 N.upf
Cl 35.45 Cl.upf
CELL_PARAMETERS angstrom
7.2713 -0.0126 -0.0158
-3.6448 6.2919 -0.0158
-1.2269 -2.1243 8.0073
ATOMIC_POSITIONS angstrom
Ac 3.5480 2.1643 6.4095
Ac 2.4982 4.3256 1.5221
Ac -1.1483 1.9907 1.5663
Ac 0.1015 4.1547 6.4095
Ac -0.0985 -0.1706 6.4537
Ac 2.2982 0.0003 1.5663
Rh -0.0033 4.1888 -0.0158
Rh 3.6298 2.0905 -0.0158
N 0.0000 0.0000 0.0000
Cl -2.3840 4.1473 3.9879
Cl 4.7837 0.0077 3.9879
Cl 1.1998 2.0775 3.9879
```



Computed, not measured: a relaxed Ac8Rh3NCl3 crystal at the GGA-PBE level of DFT. Values from VASP.

Properties
crystal system = monoclinic
uncorrected formation energy = -1.051 eV per atom

The structure in Quantum ESPRESSO input format:
```
&SYSTEM
  ibrav = 0, nat = 15, ntyp = 4
/
ATOMIC_SPECIES
Ac 227.00 Ac.upf
Rh 102.91 Rh.upf
N 14.01 N.upf
Cl 35.45 Cl.upf
CELL_PARAMETERS angstrom
-1.7077 1.1890 -8.2355
-3.7615 -6.3983 4.2368
-2.8816 8.6399 1.8449
ATOMIC_POSITIONS angstrom
Ac -3.2873 -0.5351 0.6044
Ac -5.0636 3.9657 -2.7581
Ac -4.2234 0.0385 -3.4993
Ac -4.1275 3.3921 1.3456
Ac -2.3049 3.3883 -5.7301
Ac -6.0459 0.0423 3.5764
Ac -1.4018 2.7595 -1.3749
Ac -6.9490 0.6711 -0.7788
Rh -2.2947 4.9145 -3.1953
Rh -4.1754 1.7153 -1.0768
Rh -3.3216 1.1208 3.0409
N -1.4408 4.3200 0.9225
Cl 0.0000 0.0000 0.0000
Cl -1.8808 -3.1992 2.1184
Cl -2.7346 -2.6047 -1.9993
```

=====

Entry from Alexandria: crystalline BaY2C at its relaxed geometry (PBE-GGA).

Unit cell a=7.5165 b=7.5165 c=7.5165 alpha=60.00 beta=60.00 gamma=60.00
Last column: nearest neighbours and their distance in Å.
Sites, in units of the cell vectors:
Ba: 0.1250 0.1250 0.1250  12 Y 4.41, 4 Ba 4.60, 4 C 4.60
Ba: 0.8750 0.8750 0.8750  12 Y 4.41, 4 C 4.60, 4 Ba 4.60
Y: 0.0000 0.5000 0.5000  2 C 2.30
Y: 0.5000 0.0000 0.5000  2 C 2.30
Y: 0.5000 0.5000 0.0000  2 C 2.30
Y: 0.5000 0.5000 0.5000  2 C 2.30
C: 0.3750 0.3750 0.3750  4 Y 2.30
C: 0.6250 0.6250 0.6250  4 Y 2.30

Calculated values
ΔH_f (0 K) (kcal/mol of atoms): 3.98
Total magnetization (μB/atom): 0.000
Space-group type: Fd-3m
Calculated total energy (eV per atom): -5.85
└──
# What to do
Filter the listing further above: keep the lines with the word "system".
# Result
crystal system = monoclinic
crystal system = monoclinic